Thursday, January 27, 2011

Polly Dolly 27|Jan|2011

Polly Dolly 27|Jan|2011 

Thursdays Polly Dolly Challenge this week is about Australia Day!
My dolly would be comfortable in shorts & a singlet ( with lots of sunscreen applied! ) and of course our Aussie flip flops. Dolly would have a BBQ out at the lake & having a good water ski with her good mates. Couldn't think of anything more Australian than that =)
Personally I spent my Australia day doing some family photos for some friends in the morning then a BBQ & watched the kids play around in the pool. Pretty relaxing day all round.

If you would like to join in on the Polly Dolly Challenge pop over to Danimezza wonderful blog!

Monday, January 24, 2011

Point & Shoot 24|January|2011

Been a while since I joined in Point & Shoot over at FatMumSlim.
So first one for this year... Is my darlings playing around in the garden sprinklers one hot summer afternoon. They had an absolute ball & are always asking me now to go play outside in the sprinklers! I remember the days when I used to run around the backyard in my bathers with my sisters under the, was sprinklers so much fun, especially to feel so carefree. Glad my babies had so much fun!

Tuesday, January 18, 2011


{ what I'd love to be doing right now }

Yep that's me. Slack. Lately I've had no interest in being online or posting blogs or pics to my Facebook. = (
My motivation is non existent. After doing the mummy & house duties I just have no desire to sit at the computer. Oh and to top it off I failed already with the 365 project *nervous laughs*. Ah well I probably should of gone for the 52 project instead. 
I'm actually thinking about deleting this blog. But I like reading the blogs I'm following. So think I'll stick round for a little while longer.

{ image }

Friday, January 7, 2011


Day 6 of 365
Here is a pic of my daughter, quiet grumpy at mummy for taking pics. 


Day 5 of Project 365 { taking a photo a day}
{ ORIGINAL POST FROM 5-01-2011, blog wouldn't let me upload any pics}

Mine tonight is of my son fast asleep after one of the biggest tantrums he has ever thrown. Amazing how they go from being so worked up and crying uncontrollably to being peacefully asleep. I'm still feeling quiet anxious and sick from his episode before. Every parent goes through it, not all like to complain about it because it's not "good parenting" to whinge about your kids. As they get older I find it harder to control his tantrums. Time out, naughty corner, taking away favourite things just don't seem to have the same effect anymore. I feel overwhelmed and just don't know the right thing to do. For now I'm being consistent with the discipline and hope for the best!
It's hard because my boy is over sensitive and things set him off easily. Example- tonight while I had a friend over we were sitting outside talking whilst Jesse played happily on the swing set, he hurt his foot somehow and cried and made a big scene like it was the end of the world, when in fact it was a small scratch, but anything you said to him just made him cry and talk back more. I asked him to settle down and that his foot was ok and will only hurt for a little while and he disagreed and was carrying on. I sent him inside to calm down and he just went ballistic. About 10 minutes of arguing for him to settle down and go to bed ( I swear the neighbours thought I was murdering him from his crying ) I left the room and he cried even more and finally fell asleep after what felt like forever. 
Maybe I "babied" him too much & I've made him into an over sensitive boy, I dunno, but i know i just have to persevere and do the best job I can to parent both the kids.
Anyways, that's my "whinge" done and dusted for the week.. check back tomorrow for what will hopefully be a nice happy snap of the kids =)

Wednesday, January 5, 2011

Project 365

So I have decided to join in on the Project 365 ( taking a photo everyday for the whole year) Seeing how I take photos daily this shouldn't be a problem, only problem I'll need to extend the photos to other areas, other than my darling kids. Majority yes will be my kids because I am a stay at home mum ( for the time being) and so I'll try make them as interesting as I can. I try be creative but some days my brain is so tired I just cannot for the life of me think of creative ideas. So that's where your ideas might come in hand, what pictures do you find most interesting??

We are into the 5th day of this new year so I will post the previous days pics in this post and I'll make sure I post the rest on time =)

Next to the text, the page also holds records of crystals:
-- begin --
[1]
The following is a DFT calculation (PBE+U) of a relaxed structure of Li5V3Ni2O10.

## Properties
SG ... P-1 (2)
ΔE to the lowest computed polymorph ... 0.0 kJ per mole of atoms
Crystal system ... triclinic
Formation energy from the elements ... -43.176 eV per formula unit

```
20
Lattice="-3.057 3.809 -1.359 -3.179 -2.726 3.086 5.269 3.594 4.704" Properties=species:S:1:pos:R:3 pbc="T T T"
O -0.166 2.915 1.113
Li 1.983 3.438 3.985
Li -1.300 -0.295 4.610
V -1.590 -1.363 1.543
O 0.080 4.218 4.267
V -0.690 1.355 0.449
O -2.606 1.908 0.139
Ni -2.143 3.743 1.242
Li -0.483 2.339 3.216
O -0.801 1.763 5.319
O 4.103 3.021 4.378
Li 0.334 4.973 1.821
O -2.448 2.988 3.088
O -5.069 1.657 2.053
V -0.277 3.322 5.982
O 1.640 2.769 6.292
Ni 1.176 0.935 5.190
Li -2.950 1.240 2.446
O -1.047 0.459 2.164
O 1.481 1.690 3.343
```

---

[2]
The following is a DFT calculation (PBE+U) of a relaxed structure of Li3Mn2Ni2O8.

## Properties
SG ... P-1 (2)
ΔE to the lowest computed polymorph ... 0.0 kJ per mole of atoms
Crystal system ... triclinic
Formation energy from the elements ... -20.507 eV per formula unit

```
15
Lattice="-5.255 1.317 -1.944 1.361 -5.611 0.987 -0.752 3.633 4.537" Properties=species:S:1:pos:R:3 pbc="T T T"
O -3.343 -1.350 0.104
O -0.734 -2.017 1.055
Mn 0.000 0.000 0.000
Mn -2.628 0.658 -0.972
Li 0.304 -0.989 2.762
O -3.872 1.615 -0.379
Ni -1.947 -2.147 -0.479
Li -3.004 2.475 1.296
O -3.912 1.356 2.525
Ni -2.323 -0.331 1.790
Li 0.680 -2.805 0.493
O -0.775 -2.277 3.958
O -3.235 -1.704 3.019
O -1.303 0.689 3.475
O -1.412 1.043 0.561
```

---

[3]
The following is a DFT calculation (PBE+U) of a relaxed structure of Li7Mn5O12.

## Properties
SG ... P-1 (2)
ΔE to the lowest computed polymorph ... 1.6 kJ per mole of atoms
Crystal system ... triclinic
Formation energy from the elements ... -51.362 eV per formula unit

```
48
Lattice="-1.732 -4.620 1.260 6.572 -4.123 -7.737 5.297 2.427 6.344" Properties=species:S:1:pos:R:3 pbc="T T T"
O 4.518 -2.978 3.208
Li 7.489 -2.929 0.783
O 7.115 -2.363 -1.180
O 2.591 -2.832 -3.008
Li 8.631 -4.290 -1.546
Li 2.648 -3.386 -0.916
O 5.756 -4.320 0.761
O 3.262 -1.753 5.735
Mn 8.334 -7.094 -2.220
Li 6.859 -5.064 -3.729
Li 5.093 -0.479 5.728
Mn 7.144 -2.123 -3.107
Li 8.911 -1.314 -1.005
Li 1.227 -5.002 0.871
O 8.935 -4.863 0.401
O 9.168 -1.732 0.981
O 8.610 -3.720 -3.721
O 10.343 -2.890 -1.636
O 0.968 -4.584 -1.115
Li 5.044 -5.836 -5.861
O 1.203 -1.454 -0.534
O 7.077 -5.707 -1.803
Mn 2.387 -6.216 -1.516
O 4.381 -1.996 -0.894
Li 3.278 -1.251 3.596
Li 4.553 -2.627 1.110
O 5.619 -3.337 -3.341
O 3.993 -5.065 -1.325
Mn 5.297 2.426 6.343
O 3.060 -0.608 1.670
Mn 2.993 -4.191 2.975
Mn 4.770 -3.328 5.140
Li 1.506 -2.026 1.412
O 3.023 -3.952 1.046
O 7.546 -3.483 2.875
O -0.203 -3.425 1.503
Mn 4.203 -5.468 0.563
O 5.339 -6.541 -3.834
O 6.876 -4.562 -5.868
Li 5.584 -3.689 -1.243
O 1.528 -2.595 3.588
Mn 1.804 0.778 2.087
Mn 5.367 -2.987 -5.273
O 4.798 0.225 3.701
Li 6.291 -1.813 3.263
Li 3.846 -4.503 -3.397
Mn 7.751 -0.100 1.383
-- stop --

 I will post Day 5's pic tonight. So check back in later =)